Yom HaShoah 2023 series - 3
For three nights, in commemoration of Yom HaShoah on 27 January, Murtadd to Human is publishing a series of articles that draws attention to the rising anti-Semitism around the world. Our third article is Andrzej Koraszewski's critique of the media's reporting on Israel and Palestinian terrorism.
“Whatever is wrong, it’s the Jews’ fault,” — the world returns to the old canards at an alarming pace
Andrzej Koraszewski
(Attached: calculated crystals)
'''
1.
TiS4N5Cl5: relaxed, PBE. Values from VASP.

Computed properties:
As for the space group: P2_1/c. The value obtained for the spin magnetization is 0.0 μB per formula unit. The value obtained for the calculated formation energy is -0.340 eV/atom.

Structure (Quantum ESPRESSO input):
```
&SYSTEM
  ibrav = 0, nat = 60, ntyp = 4
/
ATOMIC_SPECIES
S 32.06 S.upf
Cl 35.45 Cl.upf
N 14.01 N.upf
Ti 47.87 Ti.upf
CELL_PARAMETERS angstrom
-12.0627 -5.5101 -10.5769
-2.1759 -4.5449 4.8492
-7.6055 6.6123 5.2291
ATOMIC_POSITIONS crystal
S 0.7353 0.3687 0.9336
Cl 0.6491 0.4979 0.6409
S 0.7288 0.9757 0.5232
S 0.8477 0.1632 0.6285
Cl 0.8875 0.7166 0.8292
Cl 0.4941 0.4960 0.1648
Cl 0.5629 0.0765 0.7265
Cl 0.1125 0.2834 0.1708
N 0.2984 0.1586 0.0350
N 0.8321 0.3651 0.5284
N 0.2343 0.9577 0.3573
Cl 0.6125 0.7166 0.3292
S 0.2712 0.0243 0.4768
Ti 0.9819 0.3816 0.1614
Cl 0.0629 0.9235 0.7735
Cl 0.8509 0.4979 0.1409
Cl 0.1491 0.5021 0.8591
N 0.2758 0.8265 0.5839
S 0.2288 0.0243 0.9768
Cl 0.4756 0.6946 0.5456
Cl 0.5059 0.5040 0.8352
Ti 0.0181 0.6184 0.8386
Cl 0.0244 0.6946 0.0456
S 0.1523 0.8368 0.3715
S 0.2353 0.6313 0.5664
N 0.3321 0.6349 0.9716
N 0.7984 0.8414 0.4650
S 0.8883 0.8743 0.4870
Cl 0.0059 0.4960 0.6648
N 0.7242 0.1735 0.4161
Cl 0.9941 0.5040 0.3352
N 0.9137 0.0461 0.5525
N 0.7657 0.0423 0.6427
S 0.3477 0.8368 0.8715
N 0.2242 0.8265 0.0839
N 0.0863 0.9539 0.4475
N 0.1679 0.6349 0.4716
S 0.3883 0.1257 0.0130
N 0.7758 0.1735 0.9161
Cl 0.3875 0.2834 0.6708
Cl 0.5244 0.3054 0.4544
Cl 0.9371 0.0765 0.2265
S 0.6117 0.8743 0.9870
N 0.7343 0.0423 0.1427
S 0.6523 0.1632 0.1285
S 0.1117 0.1257 0.5130
Ti 0.5181 0.3816 0.6614
N 0.6679 0.3651 0.0284
Cl 0.3509 0.5021 0.3591
N 0.4137 0.9539 0.9475
N 0.2016 0.1586 0.5350
S 0.7647 0.3687 0.4336
N 0.5863 0.0461 0.0525
N 0.7016 0.8414 0.9650
S 0.7712 0.9757 0.0232
Cl 0.4371 0.9235 0.2735
N 0.2657 0.9577 0.8573
Ti 0.4819 0.6184 0.3386
Cl 0.9756 0.3054 0.9544
S 0.2647 0.6313 0.0664
```



2.
TaN: relaxed, PBE. Values from VASP.

Computed properties:
As for the space group: P-62m. The value obtained for the calculated formation energy is -1.353 eV/atom.

Structure (Quantum ESPRESSO input):
```
&SYSTEM
  ibrav = 0, nat = 6, ntyp = 2
/
ATOMIC_SPECIES
N 14.01 N.upf
Ta 180.95 Ta.upf
CELL_PARAMETERS angstrom
2.6167 -4.5323 0.0000
2.6167 4.5323 0.0000
0.0000 0.0000 2.9255
ATOMIC_POSITIONS crystal
N 0.3926 0.0000 0.0000
Ta 0.6667 0.3333 0.5000
N 0.6074 0.6074 0.0000
N 0.0000 0.3926 0.0000
Ta 0.3333 0.6667 0.5000
Ta 0.0000 0.0000 0.0000
```



3.
LiLaBi2: relaxed, PBE. Values from VASP.

Computed properties:
As for the space group: P4/nmm. The value obtained for the calculated formation energy is -0.749 eV/atom.

Structure (Quantum ESPRESSO input):
```
&SYSTEM
  ibrav = 0, nat = 8, ntyp = 3
/
ATOMIC_SPECIES
La 138.91 La.upf
Bi 208.98 Bi.upf
Li 6.94 Li.upf
CELL_PARAMETERS angstrom
4.5580 0.0000 0.0000
0.0000 4.5580 0.0000
0.0000 0.0000 11.0820
ATOMIC_POSITIONS crystal
La 0.0000 0.5000 0.2592
Bi 0.5000 0.5000 0.5000
La 0.5000 0.0000 0.7408
'''
Listy z naszego sadu, 6 October 2022 http://www.listyznaszegosadu.pl/brunatna-fala/co-zlego-to-zydzi-czyli-swiat-w-coraz-szybszym-tempie-wraca-w-stare-koleiny
After two weeks of protests raging across the country, Iranian dictator Ali Khamenei (also called the Supreme Leader) declared at a graduation ceremony at a cadet school that the ongoing demonstrations in the country were “planned by the Zionist regime, not by ordinary Iranians.” Because the Supreme Leader of the Islamic Republic says similar things every other day, it was only noticed in Israel. Russia's war with Ukraine is not going as Putin had planned, so the Russian mainstream media blame “foreign agents” and point the finger at various well-known Jews.
The latest salvo came last week when the English-language Russian propaganda service, the Strategic Culture Foundation, used classic anti-Semitic phrases to attack French philosopher Bernard-Henri Levy for supporting Ukraine.
“This 74-year-old French citizen, born into a family of Algerian Jews, sniffs blood and immediately flies to splash it – and for good money,” reads an article about a world-famous thinker and writer who went to see with his own eyes the country invaded by the Russians.
More than 20,000 Jews have left Russia for Israel since the invasion of Ukraine in late February, and thousands more have already opted for aliyah. Is it just fear of being drafted into the army? There are remarks from many quarters about the growing open anti-Semitism in Russian society.
Iran, Russia, what can you expect from them? After all, it's the far right and that's it.
At the University of California (the famous Berkeley's School of Law), nine student groups decided not to invite anyone supporting Israel or Zionism. The Dean, Erwin Chemerinsky, was in serious trouble, from which he got out of explaining that it was only one-tenth of the student organizations operating at this university. If even one, the smallest organization said "blacks are not allowed", he would probably sing differently. (Remember, “Zionist” was synonymous with Jew as early as Brezhnev.)
Law students, the flower of youth, maybe even read newspapers read, or at least look at the headlines. What can they learn from these newspapers? Take a test yourself and watch any 20 correspondence from Israel in the New York Times to see what they see where the flower of world journalism itself writes.
They see headlines such as “Whose Promised Land?”, “Israel Can Do More to Avoid Civilian Casualties”, “They Were Only Children”. Newspapers such as The Guardian and Le Monde are less enigmatic. The Guardian writes: “Every day is worse than the last: the Palestinian community is struggling to survive.”
How can we be surprised by these children studying law at Berkeley's School of Law? After all, they not only read the most responsible world-class press, they also love their student newspapers.
Politicians, professors, read articles carefully, listen to the BBC. What more serious source of reliable information about the world than the BBC?
A man looks at the BBC World website and immediately learns: “The number of Palestinian dead in the West Bank has reached 100.” Below is the note: “The largest death register in years as a result of Israeli military raids” announcement accompanied by a photo of a crying old woman. Great journalistic work, tempting to open, so I open (although most will go on to other messages, keeping in mind only the image of a weeping mother and anger towards those disgusting Jews).
BBC correspondent Tom Bateman "reports" from Jerusalem:
At least 100 Palestinians have been killed this year in the occupied West Bank and East Jerusalem amid a massive increase in Israeli military airstrikes, according to data compiled by the BBC.
Further, Bateman is almost honest. He writes that the last three gunmen were killed by a missile fired at the house, adding immediately that it was “the worst year for Palestinians since 2015,” and “human rights groups report that almost a fifth are children, the youngest of whom was 14 years old.”
Bateman reports from Jerusalem that “the United States called for an investigation after a seven-year-old boy died of heart failure when Israeli soldiers came to his family home because his brothers were accused of throwing stones.”
The style of this journalism is captivating. Israelis "carry out executions", earlier some strange wave of attacks killed 16 Israelis and two foreigners. “Airstrikes often trigger shootouts with young, newly armed militants in densely populated areas of Jenin and Nablus.”
In short, poorly trained terrorists only shoot, and the Jews kill them immediately.
This is an “unequal battle,” the report reads.
About a third of all those killed were militants. [...] Across the West Bank, at least a quarter of the total death toll occurred when soldiers used live ammunition to shoot young men or teenagers in groups that are said to have thrown stones, gasoline bombs or improvised explosives.
The BBC journalist admits that most of the Israeli military intervention was in the cities of Jenin and Nablus, where, he writes, there are strong units of Islamic Jihad and the new terrorist group Lion’s Den. We learn that the leader of one of these groups was wanted for arrest by Israeli forces for repeatedly “trying to shoot Israelis” (I wonder what “shooting attempts” are). This is indeed an unequal battle in which one side only tries to kill and does not always succeed, and the other side immediately kills armed bandits in action.
The BBC correspondent does not hide that Israeli civilians have been repeatedly targeted by Palestinian terrorists, he even shows a picture of a bus riddled with bullets, but quotes the opinion of an important figure from the UN, who implied that the defence of Jewish life violates international law (she said it differently, but it was evident that it came out).
There are more foreign correspondents in Israel than in any other country, and they all report in similar language. You will not find in these correspondences any mention of incitement to terrorism by the Palestinian Authority, by Hamas, by the press and by clerics in mosques. The word Islam practically does not appear in these reports.
Meanwhile, as one of the Jerusalem imams recently explained, a young man going out to kill Jews can only win. If he kills and comes back alive, he will be a hero, and if he dies, he will go to Paradise.
I don't remember any BBC journalist reporting from Jerusalem citing Palestinian sources who don't advocate terror.
Jerusalem-based Palestinian journalist Khaled Abu Toameh writes:
The growing involvement of members of Fatah and the Palestinian Authority in terrorism is one of the direct results of the Palestinian leadership’s extreme incitement to hate Israel. Abbas and his associates continue to make the worst accusations and slander against Israel. It is this kind of rhetoric, as well as generous payments, that encourage Palestinians to carry out attacks on Israelis. The fact that Abbas and his entourage do not even bother to stop or condemn the terrorists is apparently seen by many Palestinians as a green light to continue the attacks.
Reports and articles about Israel in the Western mainstream press do not give the reader any chance, that is, the consistent and constantly-repeated accusations of Jews, which in the end are accepted in whole or in part even by people completely untainted by prejudice. Further resolutions of the UN Human Rights Council, calls from the American administration, statements by European politicians; can all these institutions, journalists and politicians succumb to the old psychosis?
We recently received news that Amnesty International, together with Human Rights Watch, in cooperation with the Palestinian NGO Al-Haq, has prepared a conference aimed at highlighting Israel's human rights violations. Yes, by Israel, not by Palestinian terrorists, not by Mahmoud Abbas and his clique, not by Islamic institutions calling for murder, not by UNRWA schools that raise criminals, not by the Palestinian media inciting terror, by Israel, which must be condemned. On the occasion of the first meeting of the European Union-Israel Association Council in a decade, Human Rights Watch wrote: "The European Union must condemn Israel's crimes of apartheid and condemn its occupation."
HRW's Palestinian Office Director Omar Shakir added:
European officials should know that they will be shaking hands with representatives of a government that commits crimes against humanity and that has outlawed prominent civil society groups challenging these abuses.
Amnesty International, in a message on the same occasion on 3 October, wrote in the same language: “Israel is committing the crime of apartheid against the Palestinians. This is a crime against humanity, requiring the EU to hold Israeli leaders accountable and ensure that it does not support their apartheid system in any way. Any cooperation must focus on dismantling Israel's cruel system of oppression and domination.” (Eve Geddie, Director of the EU Office of Amnesty International).
In 1931, German actress of Jewish origin, Annemarie Hase, sang “An allem sind die Juden schuld!” Europe at that time was deeply convinced of this, after all, it was said by newspapers, scholars and politicians, it was really difficult to think otherwise. (Unless someone based their controversial views on less respected sources.)
Editorial round-up of the Yom HaShoah 2023 series
Yom HaShoah is a time when the world is awash with vows to combat anti-Semitism. In 2023 I see a world failing in those vows, even as it reaffirms them, for no one notices, that these commemorations do not generally take place in the Muslim world, and where they do, it is not to commemorate, but to ridicule, demean or deny.
Misplaced calculated crystals.
********
Record 1
Density functional theory data (GGA-PBE) for a geometry-optimized Pr2CdRh2 structure.

Computed properties:
ΔH_f (0 K) in eV per atom: -0.5681
Space-group type: P4/mbm, No. 127

a = 7.5853 Å, b = 7.5853 Å, c = 4.0488 Å
α = 90.00°, β = 90.00°, γ = 90.00°
Fractional positions:
Pr1 0.1735 0.3265 0.0000
Pr2 0.3265 0.8265 0.0000
Pr3 0.6735 0.1735 0.0000
Pr4 0.8265 0.6735 0.0000
Cd1 0.0000 0.0000 0.5000
Cd2 0.5000 0.5000 0.5000
Rh1 0.1276 0.6276 0.5000
Rh2 0.3724 0.1276 0.5000
Rh3 0.6276 0.8724 0.5000
Rh4 0.8724 0.3724 0.5000

Record 2
Density functional theory data (GGA-PBE) for a geometry-optimized Pr23Cd4Rh7 structure.

Computed properties:
ΔH_f (0 K) in eV per atom: -0.4280
Spin magnetization in μB per formula unit: 0.11
Space-group type: P6_3mc, No. 186

a = 10.0637 Å, b = 10.0637 Å, c = 22.8308 Å
α = 90.00°, β = 90.00°, γ = 120.00°
Fractional positions:
Pr1 0.0000 0.0000 0.0503
Pr2 0.0000 0.0000 0.5503
Pr3 0.0796 0.5398 0.1381
Pr4 0.0817 0.5409 0.4094
Pr5 0.1271 0.2543 0.6886
Pr6 0.1271 0.8729 0.6886
Pr7 0.2015 0.4030 0.8355
Pr8 0.2015 0.7985 0.8355
Pr9 0.2064 0.4128 0.0000
Pr10 0.2064 0.7936 0.0000
Pr11 0.2069 0.4138 0.2736
Pr12 0.2069 0.7931 0.2736
Pr13 0.2100 0.4199 0.5428
Pr14 0.2100 0.7900 0.5428
Pr15 0.2543 0.1271 0.1886
Pr16 0.3333 0.6667 0.6981
Pr17 0.4030 0.2015 0.3355
Pr18 0.4128 0.2064 0.5000
Pr19 0.4138 0.2069 0.7736
Pr20 0.4199 0.2100 0.0428
Pr21 0.4591 0.5409 0.4094
Pr22 0.4591 0.9183 0.4094
Pr23 0.4602 0.5398 0.1381
Pr24 0.4602 0.9204 0.1381
Pr25 0.5398 0.0796 0.6381
Pr26 0.5398 0.4602 0.6381
Pr27 0.5409 0.0817 0.9094
Pr28 0.5409 0.4591 0.9094
Pr29 0.5801 0.7900 0.5428
Pr30 0.5862 0.7931 0.2736
Pr31 0.5872 0.7936 0.0000
Pr32 0.5970 0.7985 0.8355
Pr33 0.6667 0.3333 0.1981
Pr34 0.7457 0.8729 0.6886
Pr35 0.7900 0.2100 0.0428
Pr36 0.7900 0.5801 0.0428
Pr37 0.7931 0.2069 0.7736
Pr38 0.7931 0.5862 0.7736
Pr39 0.7936 0.2064 0.5000
Pr40 0.7936 0.5872 0.5000
Pr41 0.7985 0.2015 0.3355
Pr42 0.7985 0.5970 0.3355
Pr43 0.8729 0.1271 0.1886
Pr44 0.8729 0.7457 0.1886
Pr45 0.9183 0.4591 0.9094
Pr46 0.9204 0.4602 0.6381
Cd1 0.0000 0.0000 0.3023
Cd2 0.0000 0.0000 0.8023
Cd3 0.1066 0.2133 0.4166
Cd4 0.1066 0.8934 0.4166
Cd5 0.2133 0.1066 0.9166
Cd6 0.7867 0.8934 0.4166
Cd7 0.8934 0.1066 0.9166
Cd8 0.8934 0.7867 0.9166
Rh1 0.0423 0.5212 0.7636
Rh2 0.1437 0.2874 0.1161
Rh3 0.1437 0.8563 0.1161
Rh4 0.2874 0.1437 0.6161
Rh5 0.3333 0.6667 0.9172
Rh6 0.4788 0.5212 0.7636
Rh7 0.4788 0.9577 0.7636
Rh8 0.5212 0.0423 0.2636
Rh9 0.5212 0.4788 0.2636
Rh10 0.6667 0.3333 0.4172
Rh11 0.7126 0.8563 0.1161
Rh12 0.8563 0.1437 0.6161
Rh13 0.8563 0.7126 0.6161
Rh14 0.9577 0.4788 0.2636

Record 3
Density functional theory data (GGA-PBE) for a geometry-optimized Pr23Cd4Ru7 structure.

Computed properties:
ΔH_f (0 K) in eV per atom: -0.2297
Spin magnetization in μB per formula unit: 0.03
Space-group type: P6_3mc, No. 186

a = 10.0493 Å, b = 10.0493 Å, c = 22.5962 Å
α = 90.00°, β = 90.00°, γ = 120.00°
Fractional positions:
Pr1 0.0000 0.0000 0.1362
********
Tomáš Garrigue Masaryk, first President of Czechoslovakia, was a leader from whom I draw much inspiration. Today I call on his tragic optimism in bringing this Yom HaShoah 2023 series to a close.
Good morning. A fine day after the fogs of the last week. And I see the new film. As yet, I didn’t see and hear it – a great invention of America. I am sure not the last one. If I observe the inventiveness of our modern scientists, I sometimes fancy a much greater invention – to see and hear in the distance without any wires. Just imagine: you could observe, from your place in the sitting room, the jungles of Africa and what the wild beasts are doing there. You could see and listen to the jungles of our human society. Every man then would be forced to be honest and there would be no secret plotting any more of all the wickedness. Wonderful….no?
Masaryk died on 14 September 1937, six years almost to the day, after the Imperial Japanese Army invaded Manchuria and set off the Second World War on 18 September 1931. Most of Europe still had neither seen nor heard the Japanese guns, let alone realise that the most devastating war of all time had begun. 300Km southwest of Masaryk's capital, Prague, four years and six months before his last breath, Dachau Concentration Camp was opened. Two months before he died, Buchenwald Concentration Camp, the largest within the then German borders, opened just 250Km away to the northwest. Masaryk died right in the middle of Stalin’s Great Terror of 1936-38. Two months after he passed away, on 8 November 1937, Der Ewige Jude (The Eternal Jew) anti-Semitic exhibition opened in the library of the German Museum in Munich. It would perhaps have been too much, in the early days of a new nation, to expect its leader to realise that exposing the “secret plotting of all the wickedness” would not impede the plotters and wickedness one bit, if those whom they plotted their wickedness against saw only what they wanted to see and heard only what they wanted to hear.
To the great man, truth was its own moral force, and he harnessed it to propel his country into existence with the slogan Pravda vítězí. Truth does prevail, but only if truth is unconditional, and in a world in which “Palestinian” victimhood and Jewish evil are axioms, truth cannot be unconditional, and so cannot prevail. Masaryk, as it happens, was closely associated with another nation straining to birth a country, Israel, whose very existence is now under threat because Pravda vítězí has been perverted. Those who wish, like Tomáš Garrigue Masaryk, for truth to prevail, will find themselves on a steep hill with the new virtuous slinging all manner of offences at them. Who, for example, has not seen the appalling way in which Yair Lapid, who had joined hands with Mansour Abbas just one Knesset prior, addresses Itamar Ben-Gvir, the man whose task it is to keep Israelis, including Lapid and his family, safe from Abbas’s murdering brothers.
It has perplexed me to find so much Jewish hatred towards those Jews who warn of the secret plotting of wickedness against them, to the point of embracing the very plotters of the wickedness. What does it say about “Never again” when the presence of the Muslim Brotherhood inside the Israeli government is cause for pride and affirmation, while the presence of religious Jews in the government of the Jewish state is cause for alarm, mass demonstrations and calls for insurrection?
Secret plotters of wickedness only need secrecy when they are perceived as a danger. When not, they can unashamedly publish their wicked plots in school textbooks, openly train children in summer camps to become killers, and brazenly insist on paying their civilian population to kill Jews. Yet this anti-Semitism merely registers as distasteful, rather than set off alarm bells as it should. In understandable excitement about the promise of new technologies for a better world, Masaryk did not anticipate that the wicked would find protection from devices that “see and hear in the distance without any wires” in the hearts and minds of those will only see what they want to see, and only hear what they want to hear.
At a time such as this, there is much talk of “Never again” and of being vigilant, and we blame those of a century ago for having been remiss for letting the greatest horrors of history unfold under their watch. Anti-Semitism has been on the rise, this is true. But it is also true that anti-Semitism has emerged from secrecy. Any “invention to see and hear in the distance without any wires” can be countered with propaganda and inculcated lies, especially if we want to be lied to. Terrorism became “violent extremism.” Reports of terrorism stopped mentioning “Muslim.” Now they no longer mention “Islam” either. The conditioning is complete, and Muslims can now pursue their jihad without too much inconvenience, such as police, Courts or prison. To move against terrorists is to move against Muslims, who, it is virtuous to believe, have nothing to do with it. Only an “Islamophobe” or the “far-Right” would think otherwise
In the Israeli variation on this theme, terrorist are not Muslims, but “Arabs,” thereby hiding Islam, and tarring Druze and Christian Arabs with the same brush, despite their not sharing the desire to kill Jews. Otherwise terrorists are “Palestinians,” and terrorism becomes the understandable response of a tiny, bullied, impoverished and downtrodden nation with no other option in the face of overwhelming force. Everyone feels sorry for the “Palestinians” and many are determined to support them in their wickedness, even in their bankrolling the killing of Jews.
Anti-Semitism is not going to do us the favour of stepping into jackboots, slapping swastikas on sleeves and shouting “Sieg Heil!” Yet we want to see these first, before we will countenance a real Holocaust in the making right before our eyes. Let Yom HaShoah 2023 not be another occasion for playing feel-good games with ourselves. There is nothing feel-good about the Muslim holy books, nothing at all, especially for Jews.